Today’s Word from Pastor Jim… 

Just before Christmas one of our TLC families was devastated by the suicide of a beloved husband and son-in-law. He died as the family had gathered to celebrate his wife’s birthday. It is hard to imagine such grief.

Suicide is the final act of mental illness. No one in their right mind kills themselves. The disease is depression which leads one to a sense of hopelessness. It stalks its victims and kills them just like cancer kills our loved ones. The disease is no one’s fault, there is no one to blame. It is a disease like Alzheimer’s or Parkinson’s. The author Kate Bowler reminds us that, “There is no cure for being human.” Death is an inescapable reality for all of us.

Historically, the church made every attempt to stop suicide. Suicide leaves a devastating wake of grief and destruction. The church called it an unforgivable sin (it is not an unforgivable sin), the church taught that the suicide victim would go directly to hell, consequently the church would not allow suicide victims to have church funerals or be buried in the church graveyard. The suicide victim would be buried on the outskirts of the village, out of sight, removed from the community and separated from God’s love. The suicide’s only legacy was one of shame. It was a desperate attempt by the church to stop a disease that destroyed families. These well-intentioned actions in reality caused further punishment and shame for the families left behind.

Romans 8 is clear “nothing can separate us from the love of God.” Nothing means nothing. We are not powerful enough to defeat the love of God. Nothing can separate us from the love of God. Nothing; not addiction, not sin, not cancer, not mental illness, not unbelief, not suicide.

**Inserted here: records of crystals:**
-- begin --
1.
The following is a PBE calculation of a relaxed MgSi crystal, from Alexandria.

Uncorrected formation energy   0.1 eV per formula unit

Geometry as CIF:
```
data_MgSi
_symmetry_space_group_name_H-M 'C 1 m 1'
_symmetry_Int_Tables_number 8
_cell_length_a 9.4621
_cell_length_b 4.0984
_cell_length_c 12.2670
_cell_angle_alpha 90.00
_cell_angle_beta 110.17
_cell_angle_gamma 90.00
loop_
_symmetry_equiv_pos_as_xyz
'x,y,z'
'x,-y,z'
'x+1/2,y+1/2,z'
'x+1/2,-y+1/2,z'
loop_
_atom_site_label
_atom_site_fract_x
_atom_site_fract_y
_atom_site_fract_z
Mg1 0.0000 0.0000 0.0000
Mg2 0.0028 0.5000 0.7351
Mg3 0.0178 0.0000 0.3578
Mg4 0.2443 0.0000 0.8777
Mg5 0.3069 0.5000 0.5219
Mg6 0.3699 0.0000 0.1419
Si1 0.0075 0.5000 0.5069
Si2 0.1630 0.0000 0.6349
Si3 0.1769 0.5000 0.2114
Si4 0.2032 0.5000 0.0141
Si5 0.2860 0.0000 0.3314
Si6 0.3207 0.5000 0.7580
```

=====

2.
The following is a PBE calculation of a relaxed Ba2NdH crystal, from Alexandria.

DFT total energy   -2.864 eV per atom

Geometry as CIF:
```
data_Ba2NdH
_symmetry_space_group_name_H-M 'R -3 m'
_symmetry_Int_Tables_number 166
_symmetry_space_group_name_Hall '-R 3 2"'
_cell_length_a 3.9178
_cell_length_b 3.9178
_cell_length_c 32.0977
_cell_angle_alpha 90.00
_cell_angle_beta 90.00
_cell_angle_gamma 120.00
loop_
_atom_site_label
_atom_site_fract_x
_atom_site_fract_y
_atom_site_fract_z
Ba1 0.0000 0.0000 0.1149
Nd1 0.0000 0.0000 0.0000
H1 0.0000 0.0000 0.5000
```

=====

3.
The following is a PBE calculation of a relaxed Gd2InBr crystal, from Alexandria.

Energy above the lowest structure with this stoichiometry   0.039 eV per atom
Uncorrected formation energy   -2.8 eV per formula unit

Geometry as CIF:
```
data_Gd2InBr
_symmetry_space_group_name_H-M 'R -3 m'
_symmetry_Int_Tables_number 166
_symmetry_space_group_name_Hall '-R 3 2"'
_cell_length_a 3.7598
_cell_length_b 3.7598
_cell_length_c 27.5540
_cell_angle_alpha 90.00
_cell_angle_beta 90.00
_cell_angle_gamma 120.00
loop_
_atom_site_label
_atom_site_fract_x
_atom_site_fract_y
_atom_site_fract_z
Gd1 0.0000 0.0000 0.2479
In1 0.0000 0.0000 0.0000
Br1 0.0000 0.0000 0.5000
```


1.
This record from Alexandria via LeMat-Bulk describes an optimized crystal structure of SrTe2Rh. The functional is GGA-PBEsol.

a = 6.5821 Å, b = 6.5821 Å, c = 6.5821 Å
α = 105.08°, β = 105.08°, γ = 118.66°
Element x y z (fractional)
Rh1 0.0000 0.0000 0.0000
Rh2 0.2500 0.7500 0.5000
Te1 0.6250 0.0451 0.9201
Te2 0.9549 0.8750 0.5799
Te3 0.2951 0.3750 0.4201
Te4 0.1250 0.7049 0.0799
Sr1 0.7500 0.2500 0.5000
Sr2 0.5000 0.5000 0.0000

As for the crystal system: tetragonal. The distance to the lowest polymorph of the same formula is 0.0 meV/atom. The total energy is -5.032 eV per atom. The raw formation energy comes out at -0.77 eV/atom. Its symmetry is I-42d (122).

2.
This record from Alexandria via LeMat-Bulk describes an optimized crystal structure of Si2PBr. The functional is GGA-PBEsol.

a = 3.6021 Å, b = 4.1803 Å, c = 6.0864 Å
α = 108.88°, β = 90.00°, γ = 90.00°
-- stop --

This poor man was ill, very ill, diseased– his disease is what killed him– no one is responsible, and no one could have prevented it. Sometimes prayer, doctors, chemo and radiation leave us still at the graveside of a cancer victim. Sometimes prayer, medication, and the love of family still leaves us at the graveside of a suicide victim. There is no cure for being human.

My grandfather hung himself in the basement of his house just two days after Felicia and I left him after Christmas to return to seminary. I came home to officiate at his funeral. He died of loneliness, depression, mental illness but nothing could separate him from the love of God. That was 40 years ago, on occasion that grief still visits us.

This broken family will never be the same—his poor wife will never have a birthday free from tears. The grief that descended upon them just days before Christmas will be with them forever, but they will be better off if they can name the cause of his death and understand that this man did not quit loving them, he did not want to leave them. This was disease, this was about the enveloping darkness of depression which steals all hope and sometime extinguishes all life. But nothing can separate him from the love of God. He is safe in the hands of God; no more tears, no more pain, no more death for him.

**Next to the article, the page also holds records of crystals**
____________
[1]
Below is an optimized crystal structure of Ho6HgIr, with properties calculated at the PBE level.

a b c (Å): 6.6326 6.6326 6.7066
angles (deg): 101.45 101.45 116.15
Last column: nearest neighbours and their distance in Å.
Positions (direct):
Ho: 0.0302 0.4065 0.2407  1 Ir 2.75, 1 Hg 2.97
Ho: 0.2336 0.2336 0.7659  1 Ir 2.66
Ho: 0.4065 0.0302 0.2407  1 Ir 2.75, 1 Hg 2.97
Ho: 0.5935 0.9698 0.7593  1 Ir 2.75, 1 Hg 2.97
Ho: 0.7664 0.7664 0.2341  1 Ir 2.66
Ho: 0.9698 0.5935 0.7593  1 Ir 2.75, 1 Hg 2.97
Hg: 0.5000 0.5000 0.5000  6 Ho 2.97-3.03
Ir: 0.0000 0.0000 0.0000  6 Ho 2.66-2.75

Computed properties:
**Formation energy**: -0.192 eV per atom

***

[2]
Below is an optimized crystal structure of LaTa2Br, with properties calculated at the PBE level.

a b c (Å): 3.0912 3.0912 9.1580
angles (deg): 90.00 90.00 90.00
Last column: nearest neighbours and their distance in Å.
Positions (direct):
La: 0.0000 0.0000 0.0000  4 La 3.09
Ta: 0.5000 0.5000 0.2945  4 Br 2.88, 4 Ta 3.09
Ta: 0.5000 0.5000 0.7055  4 Br 2.88, 4 Ta 3.09
Br: 0.0000 0.0000 0.5000  8 Ta 2.88, 4 Br 3.09

***

[3]
Below is an optimized crystal structure of MnGaSiS, with properties calculated at the PBE level.

a b c (Å): 2.7283 2.7283 8.8259
angles (deg): 90.00 90.27 90.00
Last column: nearest neighbours and their distance in Å.
Positions (direct):
Mn: 0.0000 0.0000 0.0000  4 S 2.29, 4 Si 2.53
Ga: 0.4918 0.5000 0.5231  1 Si 2.57, 4 Ga 2.73
Si: 0.4971 0.5000 0.8146  4 Mn 2.53, 1 Ga 2.57, 4 Si 2.73
S: 0.5019 0.5000 0.1396  4 Mn 2.29

***

[4]
Below is an optimized crystal structure of KSc2Tl, with properties calculated at the PBE level.

a b c (Å): 3.3830 3.3830 11.6019
angles (deg): 90.00 90.00 113.70
Last column: nearest neighbours and their distance in Å.
Positions (direct):
K: 0.0000 0.0000 0.0000  6 K 3.38-3.70
Sc: 0.5000 0.5000 0.2943  2 Tl 3.02
Sc: 0.5000 0.5000 0.7057  2 Tl 3.02
Tl: 0.0000 0.0000 0.5000  4 Sc 3.02

Computed properties:
**Formation energy**: 0.278 eV per atom

***

[5]
Below is an optimized crystal structure of K2RbCu, with properties calculated at the PBE level.

a b c (Å): 8.7013 8.7013 8.7013
angles (deg): 100.43 100.43 129.65
Last column: nearest neighbours and their distance in Å.
Positions (direct):
K: 0.0157 0.6250 0.8907  2 Cu 3.33
K: 0.3750 0.2657 0.3907  2 Cu 3.33
K: 0.7343 0.1250 0.1093  2 Cu 3.33
K: 0.8750 0.9843 0.6093  2 Cu 3.33
Rb: 0.2500 0.7500 0.5000  2 Cu 3.70
Rb: 0.5000 0.5000 0.0000  2 Cu 3.70
Cu: 0.0000 0.0000 0.0000  4 K 3.33, 2 Rb 3.70
Cu: 0.7500 0.2500 0.5000  4 K 3.33, 2 Rb 3.70

Computed properties:
**Formation energy**: 0.289 eV per atom

***

[6]
Below is an optimized crystal structure of Tb3B11, with properties calculated at the PBE level.

a b c (Å): 8.0638 8.0638 8.0638
angles (deg): 156.47 138.80 47.99
Last column: nearest neighbours and their distance in Å.
Positions (direct):
Tb: 0.0000 0.0000 0.0000  18 B 2.53-2.84
Tb: 0.2431 0.2431 0.0000  12 B 2.66-2.75
Tb: 0.7569 0.7569 0.0000  12 B 2.66-2.75
B: 0.0666 0.3837 0.6829  4 B 1.88-2.08
____________
**Here the article continues**

Paul Skinner, one of our dear saints, wrote me a note years ago at a difficult time in my ministry. He said, “I read the last chapter– we win. God wins, love wins.” The truth can help us to dispel the shame and secrecy that for too long has come with suicide. There is no cure for being human; a disease or an accident will take us all. This dear, broken man was taken by a disease he could not defeat. The darkness cannot overcome the light. God wins– love wins.

One beggar, telling another beggar where to find bread, I am your,

Pastor Jim

PS: If you would like to respond directly to Pastor Jim, please email [email protected].